## Assignment
Your job: repeat the lines further down up to the one that holds "(Å): 10.3293", that line included.
## Material
Starting from a cell relaxed with PBE, the powder XRD pattern of HoCdH2Cl2O2 was simulated for Cu Kα (weighted mean of Kα1 and Kα2).

Crystal structure
abc: 3.8803 3.8803 10.2774
angles: 90.00 90.00 120.00
Space group P3m1 (No. 156)
Inequivalent atoms, fractional coordinates:
Ho1 0.0000 0.0000 0.0000 [1 per cell]
Cd1 0.3333 0.6667 0.4838 [1 per cell]
H1 0.6667 0.3333 0.1458 [1 per cell]
H2 0.6667 0.3333 0.6410 [1 per cell]
Cl1 0.0000 0.0000 0.2537 [1 per cell]
Cl2 0.3333 0.6667 0.8343 [1 per cell]
O1 0.6667 0.3333 0.0493 [1 per cell]
O2 0.6667 0.3333 0.5453 [1 per cell]

Most intense lines, 2θ = 10–80°, sorted by position:
- d = 5.139 Å, 2θ = 17.26°, rel. 62
- d = 3.360 Å, 2θ = 26.52°, rel. 22
- d = 3.194 Å, 2θ = 27.93°, rel. 100
- d = 2.812 Å, 2θ = 31.82°, rel. 16
- d = 2.569 Å, 2θ = 34.92°, rel. 15
- d = 2.399 Å, 2θ = 37.49°, rel. 65
- d = 2.041 Å, 2θ = 44.38°, rel. 15
- d = 1.940 Å, 2θ = 46.82°, rel. 32
- d = 1.815 Å, 2θ = 50.27°, rel. 23
- d = 1.753 Å, 2θ = 52.16°, rel. 17
- d = 1.548 Å, 2θ = 59.72°, rel. 19
- d = 1.509 Å, 2θ = 61.46°, rel. 15

----------

# 1
# Nd2Sn6Rh
Calculated X-ray diffraction stick pattern, λ = 1.5418 Å (Cu Kα). Input: a structure optimized by DFT (PBE).
No peak broadening, texture or thermal motion is included.

Cell and atoms:
a b c (Å): 9.1647 9.1647 4.0827
angles (deg): 90.00 90.00 133.69
Fractional positions:
Nd  0.2126  0.7874  0.0000
Nd  0.7874  0.2126  0.0000
Sn  0.1611  0.4421  0.5000
Sn  0.2353  0.2353  0.0000
Sn  0.4421  0.1611  0.5000
Sn  0.5579  0.8389  0.5000
Sn  0.7647  0.7647  0.0000
Sn  0.8389  0.5579  0.5000
Rh  0.5000  0.5000  0.5000

Largest 10 diffraction maxima, sorted by position, 2θ = 10–90°:
Position (°2θ)  I/Imax
25.6  42
30.5  89
31.9  23
34.9  100
36.8  23
39.5  21
39.6  44
40.8  36
44.4  35
61.9  28

=====

# 2
# NdSn12Rh4
Calculated X-ray diffraction stick pattern, λ = 1.5418 Å (Cu Kα). Input: a structure optimized by DFT (PBE).
No peak broadening, texture or thermal motion is included.

Cell and atoms:
a b c (Å): 8.1767 8.1767 8.1767
angles (deg): 109.47 109.47 109.47
Fractional positions:
Nd  0.0000  0.0000  0.0000
Sn  0.1617  0.5005  0.3388
Sn  0.1617  0.8230  0.6612
Sn  0.1770  0.3388  0.8383
Sn  0.3388  0.1617  0.5005
Sn  0.3388  0.8383  0.1770
Sn  0.5005  0.3388  0.1617
Sn  0.4995  0.6612  0.8383
Sn  0.6612  0.1617  0.8230
Sn  0.6612  0.8383  0.4995
Sn  0.8230  0.6612  0.1617
Sn  0.8383  0.1770  0.3388
Sn  0.8383  0.4995  0.6612
Rh  0.0000  0.0000  0.5000
Rh  0.0000  0.5000  0.0000
Rh  0.5000  0.0000  0.0000
Rh  0.5000  0.5000  0.5000

Largest 10 diffraction maxima, sorted by position, 2θ = 10–90°:
Position (°2θ)  I/Imax
29.9  100
35.6  48
42.8  23
47.2  35
49.2  27
56.9  15
67.3  20
76.9  9
87.7  19
89.2  10

=====

# 3
# TbNd2Sn3Rh4
Calculated X-ray diffraction stick pattern, λ = 1.5418 Å (Cu Kα). Input: a structure optimized by DFT (PBE).
No peak broadening, texture or thermal motion is included.

Cell and atoms:
a b c (Å): 4.4188 4.4188 11.4770
angles (deg): 90.00 90.00 90.00
Fractional positions:
Tb  0.0000  0.0000  0.0000
Nd  0.0000  0.5000  0.7311
Nd  0.5000  0.0000  0.2689
Sn  0.0000  0.5000  0.3742
Sn  0.5000  0.0000  0.6258
Sn  0.5000  0.5000  0.0000
Rh  0.0000  0.0000  0.5000
Rh  0.0000  0.5000  0.1472
Rh  0.5000  0.0000  0.8528
Rh  0.5000  0.5000  0.5000

Largest 10 diffraction maxima, sorted by position, 2θ = 10–90°:
Position (°2θ)  I/Imax
30.9  44
32.6  100
40.8  60
42.8  30
44.5  24
52.1  24
59.1  20
62.0  18
69.2  23
79.7  11

=====

# 4
# Nd2TlSn2Rh5
Calculated X-ray diffraction stick pattern, λ = 1.5418 Å (Cu Kα). Input: a structure optimized by DFT (PBE).
No peak broadening, texture or thermal motion is included.

Cell and atoms:
a b c (Å): 10.3293 10.3293 3.7806
angles (deg): 90.00 90.00 90.00
Fractional positions:
Nd  0.1728  0.3272  0.0000
Nd  0.3272  0.8272  0.0000
Nd  0.6728  0.1728  0.0000
Nd  0.8272  0.6728  0.0000
Tl  0.0000  0.0000  0.0000
Tl  0.5000  0.5000  0.0000
Sn  0.1253  0.6253  0.0000
Sn  0.3747  0.1253  0.0000
## Outcome
Starting from a cell relaxed with PBE, the powder XRD pattern of HoCdH2Cl2O2 was simulated for Cu Kα (weighted mean of Kα1 and Kα2).

Crystal structure
abc: 3.8803 3.8803 10.2774
angles: 90.00 90.00 120.00
Space group P3m1 (No. 156)
Inequivalent atoms, fractional coordinates:
Ho1 0.0000 0.0000 0.0000 [1 per cell]
Cd1 0.3333 0.6667 0.4838 [1 per cell]
H1 0.6667 0.3333 0.1458 [1 per cell]
H2 0.6667 0.3333 0.6410 [1 per cell]
Cl1 0.0000 0.0000 0.2537 [1 per cell]
Cl2 0.3333 0.6667 0.8343 [1 per cell]
O1 0.6667 0.3333 0.0493 [1 per cell]
O2 0.6667 0.3333 0.5453 [1 per cell]

Most intense lines, 2θ = 10–80°, sorted by position:
- d = 5.139 Å, 2θ = 17.26°, rel. 62
- d = 3.360 Å, 2θ = 26.52°, rel. 22
- d = 3.194 Å, 2θ = 27.93°, rel. 100
- d = 2.812 Å, 2θ = 31.82°, rel. 16
- d = 2.569 Å, 2θ = 34.92°, rel. 15
- d = 2.399 Å, 2θ = 37.49°, rel. 65
- d = 2.041 Å, 2θ = 44.38°, rel. 15
- d = 1.940 Å, 2θ = 46.82°, rel. 32
- d = 1.815 Å, 2θ = 50.27°, rel. 23
- d = 1.753 Å, 2θ = 52.16°, rel. 17
- d = 1.548 Å, 2θ = 59.72°, rel. 19
- d = 1.509 Å, 2θ = 61.46°, rel. 15

----------

# 1
# Nd2Sn6Rh
Calculated X-ray diffraction stick pattern, λ = 1.5418 Å (Cu Kα). Input: a structure optimized by DFT (PBE).
No peak broadening, texture or thermal motion is included.

Cell and atoms:
a b c (Å): 9.1647 9.1647 4.0827
angles (deg): 90.00 90.00 133.69
Fractional positions:
Nd  0.2126  0.7874  0.0000
Nd  0.7874  0.2126  0.0000
Sn  0.1611  0.4421  0.5000
Sn  0.2353  0.2353  0.0000
Sn  0.4421  0.1611  0.5000
Sn  0.5579  0.8389  0.5000
Sn  0.7647  0.7647  0.0000
Sn  0.8389  0.5579  0.5000
Rh  0.5000  0.5000  0.5000

Largest 10 diffraction maxima, sorted by position, 2θ = 10–90°:
Position (°2θ)  I/Imax
25.6  42
30.5  89
31.9  23
34.9  100
36.8  23
39.5  21
39.6  44
40.8  36
44.4  35
61.9  28

=====

# 2
# NdSn12Rh4
Calculated X-ray diffraction stick pattern, λ = 1.5418 Å (Cu Kα). Input: a structure optimized by DFT (PBE).
No peak broadening, texture or thermal motion is included.

Cell and atoms:
a b c (Å): 8.1767 8.1767 8.1767
angles (deg): 109.47 109.47 109.47
Fractional positions:
Nd  0.0000  0.0000  0.0000
Sn  0.1617  0.5005  0.3388
Sn  0.1617  0.8230  0.6612
Sn  0.1770  0.3388  0.8383
Sn  0.3388  0.1617  0.5005
Sn  0.3388  0.8383  0.1770
Sn  0.5005  0.3388  0.1617
Sn  0.4995  0.6612  0.8383
Sn  0.6612  0.1617  0.8230
Sn  0.6612  0.8383  0.4995
Sn  0.8230  0.6612  0.1617
Sn  0.8383  0.1770  0.3388
Sn  0.8383  0.4995  0.6612
Rh  0.0000  0.0000  0.5000
Rh  0.0000  0.5000  0.0000
Rh  0.5000  0.0000  0.0000
Rh  0.5000  0.5000  0.5000

Largest 10 diffraction maxima, sorted by position, 2θ = 10–90°:
Position (°2θ)  I/Imax
29.9  100
35.6  48
42.8  23
47.2  35
49.2  27
56.9  15
67.3  20
76.9  9
87.7  19
89.2  10

=====

# 3
# TbNd2Sn3Rh4
Calculated X-ray diffraction stick pattern, λ = 1.5418 Å (Cu Kα). Input: a structure optimized by DFT (PBE).
No peak broadening, texture or thermal motion is included.

Cell and atoms:
a b c (Å): 4.4188 4.4188 11.4770
angles (deg): 90.00 90.00 90.00
Fractional positions:
Tb  0.0000  0.0000  0.0000
Nd  0.0000  0.5000  0.7311
Nd  0.5000  0.0000  0.2689
Sn  0.0000  0.5000  0.3742
Sn  0.5000  0.0000  0.6258
Sn  0.5000  0.5000  0.0000
Rh  0.0000  0.0000  0.5000
Rh  0.0000  0.5000  0.1472
Rh  0.5000  0.0000  0.8528
Rh  0.5000  0.5000  0.5000

Largest 10 diffraction maxima, sorted by position, 2θ = 10–90°:
Position (°2θ)  I/Imax
30.9  44
32.6  100
40.8  60
42.8  30
44.5  24
52.1  24
59.1  20
62.0  18
69.2  23
79.7  11

=====

# 4
# Nd2TlSn2Rh5
Calculated X-ray diffraction stick pattern, λ = 1.5418 Å (Cu Kα). Input: a structure optimized by DFT (PBE).
No peak broadening, texture or thermal motion is included.

Cell and atoms:
a b c (Å): 10.3293 10.3293 3.7806